When is Pampering Your Pet Bad?
Let’s face it, for some of us, our pets are our children. And pampering them seems to be the obvious thing to do. But is it actually bad for our dogs? Who can resist those puppy dog eyes?
As Pawrents (yes, the term for us, pet parents), we love to take care of them, provide for them and spoil them maybe just a little. But actually overparenting a pet like a child can become a little bit of a problem too.
For example, when we shower our pets with many toys, more than a box full, will they see value in the toys we get them? Some of us are guilty of this, in fact, we most certainly are. We go to the extent of hiding toys to give to them in future. But that box of toys are certainly piling up. Getting them more toys than they can get their paws on will de-value them and they will get used to the dopamine rush and it becomes a drug. Soon they will always want new toys and have little place in their hearts for the older ones, because, they simply keep getting more.
When we spoil our dogs, we can lead to behavioural issues in them, be it seeing value in the toys as an example or even disrespecting us! Training them or teaching them new things become difficult because we have conditioned them to getting exactly what they want all the time.
Density functional theory data (ωB97M-V/def2-TZVPD) for C63H46CrN7OTe as an isolated structure at a distorted geometry.

2S+1: 5
Net charge: -1
LUMO energy (alpha / beta), eV: 1.26 / 1.25
HOMO (alpha / beta), eV: -2.17 / -3.71
Gap between HOMO and LUMO (alpha / beta), eV: 3.44 / 4.96

The geometry in XYZ format:
```
119
Properties=species:S:1:pos:R:3:forces:R:3
Cr -0.50834 -0.47130 -1.48182 -1.140 -0.058 -0.579
C 0.62586 5.22260 -6.37102 0.058 0.118 -0.045
C 0.35226 3.90650 -6.70932 -0.043 0.020 -0.102
C 0.27266 2.94040 -5.72472 0.004 0.014 0.027
C 0.47226 3.27080 -4.38492 0.003 0.118 -0.124
C 0.78006 4.58910 -4.06102 0.101 -0.150 -0.004
C 0.85146 5.55840 -5.04542 -0.028 0.157 -0.071
C 0.31836 2.22210 -3.36012 -0.834 0.290 0.754
C -0.64314 2.41140 -2.36422 0.768 -0.231 -0.832
C -1.45714 3.57940 -2.20352 -0.478 0.215 0.481
C -2.20784 3.38540 -1.08612 0.237 0.559 -0.606
C -1.88424 2.08380 -0.58182 -0.258 -0.783 0.409
C -2.55654 1.45590 0.47868 0.424 0.770 -0.628
C -3.62034 2.21870 1.15428 -0.075 0.053 0.026
C -3.38254 3.45650 1.74968 0.008 -0.231 0.062
C -4.41394 4.17850 2.31968 -0.116 0.179 0.086
C -5.71044 3.69090 2.29888 -0.004 0.116 0.102
C -5.95984 2.45700 1.72128 -0.109 -0.009 0.004
C -4.92974 1.73110 1.15738 -0.049 0.031 -0.033
C -2.47454 0.07580 0.74938 -0.111 -0.688 0.294
N -1.84104 -0.84550 -0.03112 -0.490 0.103 0.561
C -2.22654 -2.07420 0.42538 -0.354 0.239 0.567
C -1.83994 -3.30670 -0.12352 0.955 -0.322 -0.766
C -2.63724 -4.49910 0.22358 -0.086 -0.157 0.079
C -3.99534 -4.50750 -0.08942 -0.020 0.017 -0.053
C -4.76914 -5.63250 0.12118 -0.108 -0.053 0.013
C -4.20534 -6.77530 0.66758 -0.036 -0.028 0.048
C -2.86714 -6.76460 1.02438 -0.040 -0.220 0.062
C -2.09024 -5.64070 0.80508 0.006 0.163 0.047
C -0.78974 -3.45190 -1.02712 -0.973 0.151 0.722
C -0.33264 -4.70040 -1.55402 0.561 -0.212 -0.456
C 0.76316 -4.43130 -2.30872 -0.528 -0.585 0.353
C 0.95206 -3.01080 -2.27282 0.311 0.801 -0.263
N -0.01434 -2.43490 -1.50962 0.391 -0.369 0.019
C 1.92586 -2.33660 -3.01632 -0.446 -0.685 0.452
C 1.88736 -0.96180 -3.28452 0.062 0.438 -0.130
C 2.75766 -0.28120 -4.18732 -0.034 -0.193 0.170
C 2.25626 0.97710 -4.34132 -0.299 0.214 0.186
C 1.10996 1.07140 -3.49822 0.426 -0.075 -0.271
N 0.92136 -0.10720 -2.83962 0.542 -0.082 -0.423
C 2.93636 -3.19730 -3.66242 0.163 0.012 -0.010
C 3.77366 -3.99160 -2.87812 -0.004 0.139 -0.076
C 4.67626 -4.86080 -3.46052 0.121 -0.139 0.004
C 4.76416 -4.95360 -4.83992 0.057 -0.093 -0.020
C 3.92986 -4.18010 -5.63052 0.092 -0.035 -0.113
C 3.03096 -3.30610 -5.04792 -0.034 0.013 0.010
C -3.06054 -1.92680 1.56788 0.324 -0.316 -0.313
C -3.19404 -0.58590 1.78758 0.220 0.354 -0.094
N -0.94364 1.50800 -1.38162 0.045 0.277 0.541
H 0.66816 5.98350 -7.13812 0.026 0.044 -0.048
H 0.18706 3.63430 -7.74332 -0.020 0.000 -0.046
H 0.04326 1.91500 -5.97642 -0.033 -0.067 -0.018
H 0.97736 4.83560 -3.02862 -0.017 0.069 0.113
H 1.07806 6.58220 -4.77742 0.030 0.034 0.005
H -1.47644 4.43000 -2.86242 -0.005 0.028 -0.008
Another example is clothes and accessories, they don’t need them, sure it’s fun but is that for us or for them? With their bodies structured very differently, dressing them up for long hours can actually be bad for their fur and their skin. Just like washing their paws every time they come back from a walk can make their paws more fragile and sensitive.
Over-pampered dogs can grow up to be aggressive as they expect to be treated in the same way by everyone. Making difficult for anyone else to care for them, as no one would give them as much attention or shower them with pampering like we do. We will be setting them up for failure at a boarding house or doggy daycare.
Dogs are creatures of habit (in a way we humans are too), so. Too much of our affection and love can lead to behavioural issues. They love consistency and do respect rules, when we break them ourselves, they can be very much affected. We want our pets to be disciplined, self sustainable, confident and healthy, and that doesn’t mean loving them less. Some things are okay in excess but most things are not.
We just have to remember that all things are good in moderation. A healthy balance is always the way to go.
That said, take our quiz! You get one point for each statement that is true. The higher the points, the more pampered your pet. Share with us your results in the comments below!
How pampered is your pet, exactly?
1. Your pet is allowed on the couch
2. You don’t have as much snacks as your pet does
3. Your pet has a box dedicated to their toys
4. Your pet sleeps with you on the same bed
(The page is interrupted by calculated molecules)
********
Formula: C29H57Cl3N2O3PRhSi
Source: the Open Molecules 2025 dataset
Level of theory: wB97M-V/def2-TZVPD

Computed properties:
spin multiplicity = 5
<S²> = 6.013
ΔE to the lowest compared entry with this formula, charge and spin = 0.0000 eV
LUMO level (spin up / spin down) = 0.546 / -2.086 eV
gap between HOMO and LUMO (spin up / spin down) = 7.98 / 5.63 eV
electronic energy = -3596.35784 Eh

Positions of all 97 atoms, in Å:
C1 -1.756721 -1.893078 -4.130719
C2 -1.242857 -2.635908 -2.933654
H1 -1.023011 -1.922978 -4.946929
H2 -2.008206 -0.839889 -3.935150
H3 -2.670308 -2.401440 -4.506222
C3 -0.923881 -3.930967 -3.090666
C4 -0.862896 -4.659934 -4.397833
H4 -0.787339 -4.600506 -2.238178
H5 -1.206694 -4.078434 -5.264558
H6 -1.459646 -5.583307 -4.349602
H7 0.162267 -4.990132 -4.607737
Rh1 -0.176342 0.760452 -0.040334
Cl1 -2.508451 0.905415 -0.185722
Cl2 0.849465 2.925383 -1.194943
H8 0.894659 4.696753 2.834341
H9 -2.025001 6.181673 1.658209
C5 0.826474 4.937200 1.762473
C6 -1.308830 5.908331 0.869129
N1 -0.531531 4.739281 1.256658
H10 1.556935 4.347496 1.187989
C7 -1.023024 3.513512 1.089340
O1 -0.334390 2.471730 1.315470
H11 -1.857063 5.692953 -0.059232
H12 -2.057948 3.468014 0.709140
H13 1.044590 6.001761 1.643394
H14 -0.614258 6.739429 0.718563
H15 1.411802 -0.777818 -3.567423
H16 2.254683 -3.031024 -2.386057
C8 2.232945 -0.226894 -3.090848
C9 3.135712 -2.376970 -2.301076
N2 2.746391 -1.015644 -1.993576
H17 1.866364 0.730538 -2.709921
C10 2.961092 -0.494627 -0.771185
O2 2.350522 0.479001 -0.270169
H18 3.782932 -2.747567 -1.501170
H19 3.742531 -1.048534 -0.208393
H20 3.023375 -0.063322 -3.840137
H21 3.666161 -2.395040 -3.260386
O3 -0.198834 -1.014714 -1.481611
C11 -1.241131 -1.905099 -1.576440
C12 -0.129556 -3.736728 -0.223136
C13 -1.177611 -2.829131 -0.357672
H22 0.685518 -3.705129 -0.953630
C14 -0.180535 -4.723768 0.769373
H23 -2.231610 -1.412652 -1.542225
C15 -2.174183 -2.762925 0.618376
H24 0.587561 -5.502561 0.792275
C16 -1.207063 -4.698949 1.708166
C17 -2.207296 -3.724351 1.632518
H25 -2.910408 -1.960046 0.549735
H26 -1.227442 -5.436056 2.515196
H27 -3.016657 -3.702733 2.368072
Si1 -0.285660 3.065202 -3.218080
Cl3 -0.649724 0.986208 -2.945550
C18 1.395064 3.864799 -3.756484
C19 -1.777292 3.779808 -2.356440
C20 -0.988744 3.406255 -5.026804
H28 2.263202 3.204816 -3.583099
H29 1.561862 4.788657 -3.181382
H30 1.400866 4.150176 -4.822882
H31 -0.296002 3.018905 -5.786624
H32 -1.121552 4.486360 -5.199220
H33 -1.964292 2.908369 -5.140783
H34 -2.230723 3.028451 -1.696416
H35 -2.535760 4.069248 -3.096313
H36 -1.509088 4.658440 -1.767687
C21 1.867832 -2.174306 1.543605
C22 0.671954 -1.860678 2.428183
C23 0.973363 -2.414216 3.826789
P1 0.112183 -0.079114 2.225360
C24 -1.604942 -0.079996 2.986186
C25 -1.993979 -1.239357 3.898930
C26 -1.986553 1.233044 3.663643
C27 1.234437 0.899984 3.359018
C28 1.159376 0.611163 4.857164
C29 2.685184 0.847138 2.893435
H37 2.754189 -1.620120 1.866694
H38 1.639710 -1.920444 0.508426
H39 2.107401 -3.242078 1.576106
********
5. You had professional photos taken of your pet
6. You give your pet birthday presents
7. You greet your pet before anyone else
8. You go on vacation with your humans
(Here the entry breaks off for data records)
Entry 1:
164
Properties=species:S:1:pos:R:3:mulliken_charge:R:1 method="wB97M-V/def2-TZVPD" gap_ev=5.8 total_charge=+1 spin_multiplicity=1 e_tot_ev=-138734.002 lumo_energy_ev=-4.28 homo_ev=-10.13
Zn 2.9189 -0.9543 -1.5672 -0.02
N 0.2925 -1.5076 0.4622 -0.28
O 0.3112 -1.3080 1.6766 -0.04
O -0.7858 -1.7606 -0.0142 -0.34
O 1.3653 -1.5311 -0.2208 1.63
C 4.1397 -4.5309 -5.1270 -0.43
O 3.6047 -5.6814 -4.4337 -0.36
C 2.2424 -5.8221 -4.3981 -1.00
C 1.6490 -5.0466 -3.2366 0.95
N 1.7052 -5.8010 -1.9571 -0.47
C 0.8392 -5.1765 -1.0061 0.03
C 1.3756 -5.5213 0.4087 -0.22
O 2.5924 -4.7701 0.5763 -0.51
C 3.0739 -4.7914 1.9608 -0.63
H 5.2132 -4.3677 -5.0310 0.29
H 3.7716 -3.6115 -4.6717 -0.05
H 3.7912 -4.5561 -6.1595 0.36
H 1.9059 -6.8554 -4.4817 0.41
H 1.7407 -5.3771 -5.2574 0.41
H 0.6168 -4.8131 -3.4975 0.03
H 2.1040 -4.0569 -3.1969 -0.54
H 2.5838 -5.5287 -1.5401 0.33
H -0.1112 -5.6570 -1.2381 0.50
H 0.7427 -4.0959 -1.1123 -0.34
H 1.5458 -6.5742 0.6337 0.52
H 0.7347 -5.0559 1.1576 -0.26
H 4.0237 -4.2927 2.1540 0.31
H 3.2307 -5.8321 2.2444 0.36
H 2.2330 -4.4428 2.5604 0.01
C -2.3080 -3.0718 -2.5295 -0.62
O -2.7311 -2.3867 -3.6774 -0.27
C -2.6624 -3.2010 -4.8338 -0.53
C -2.8947 -2.1878 -6.0099 -0.71
N -1.8514 -1.1378 -6.0886 -0.06
C -1.9421 -0.1627 -7.1842 -1.03
C -3.1247 0.7780 -6.9908 -0.51
O -2.9259 1.7013 -5.8282 -0.02
C -3.9816 2.5926 -5.5129 -0.99
H -2.7347 -2.5921 -1.6486 0.07
H -1.2231 -3.1493 -2.4579 0.08
H -2.6627 -4.1014 -2.4823 0.56
H -3.3237 -4.0656 -4.8905 0.48
H -1.6952 -3.6760 -4.9985 0.13
H -3.8657 -1.7148 -5.8634 0.29
H -3.0513 -2.7721 -6.9167 0.54
H -1.8847 -0.6960 -5.1810 -0.21
H -2.0271 -0.7370 -8.1067 0.47
H -1.0224 0.4215 -7.2171 0.27
H -4.0479 0.2131 -6.8617 0.45
H -3.1445 1.4313 -7.8632 0.42
H -3.7330 3.4169 -4.8444 0.27
H -4.8313 2.0332 -5.1217 0.35
H -4.3561 3.1718 -6.3569 0.37
C 1.4785 3.6394 6.8993 -0.93
O 0.3798 3.3328 6.0170 0.10
C -0.9244 3.7430 6.4899 -1.02
C -1.9379 3.1405 5.4677 -0.52
N -2.1050 3.9161 4.1635 -0.01
C -3.4350 3.6676 3.5381 -1.14
C -3.7867 2.3014 3.0839 -0.49
O -2.8340 1.8619 2.1474 0.05
C -3.0638 0.5002 1.8021 -0.32
H 2.3685 3.5793 6.2728 0.18
H 1.4671 2.9614 7.7527 0.29
H 1.3899 4.6970 7.1479 0.34
H -1.0802 4.8196 6.4205 0.43
H -1.0607 3.4388 7.5277 0.48
H -2.8627 3.1189 6.0441 0.57
H -1.5505 2.1448 5.2517 0.11
H -1.3116 3.8153 3.5466 -0.03
H -3.6234 4.3401 2.7012 0.31
H -4.2234 3.9709 4.2270 0.55
H -4.6900 2.2682 2.4747 0.52
H -3.8211 1.6730 3.9738 0.29
H -4.0622 0.2107 1.4744 0.43
H -2.7096 -0.1271 2.6201 0.07
H -2.4125 0.3029 0.9506 -0.27
C -1.3994 5.6520 0.7057 -0.79
O -0.5227 4.6833 0.1195 -0.32
C -0.9725 3.3490 0.3423 0.30
C 0.1325 2.3328 -0.1331 1.87
N 1.4642 2.5387 0.5350 -0.11
C 1.6177 2.2953 2.0115 1.97
C 3.0234 2.7990 2.4710 -0.54
O 2.9591 4.2210 2.2966 -0.40
C 2.3154 5.0202 3.3224 -0.41
H -1.4586 5.6085 1.7932 0.18
H -2.3975 5.5013 0.2942 0.38
H -1.0554 6.6621 0.4834 0.29
H -1.9284 3.0412 -0.0815 0.65
H -1.1576 3.2198 1.4086 -0.58
H 0.1017 2.4471 -1.2167 -1.75
H -0.1750 1.2928 -0.0236 -0.77
(End of the data records)
9. Your pet has its own social media account
10. Your pet has its own clothes/accessories
That said, nothing beats pampering your pet like Kuro Snacks, healthy and delicious, that’s all-natural with no artificial additives, coloring, flavoring or preservatives, now that’s something your pet can be pampered with, guilt-free!